(Request)
Could you find the line underneath that holds "Eu: 0.334", then duplicate that line and all lines after it there?

(Data)
+++
Material: Zr2As3S
Method: DFT, PBE
State: optimized geometry

Cell and atoms, written as extended XYZ:
```
6
Lattice="3.7807 0.0000 0.0000 0.0000 3.7807 0.0000 0.0000 0.0000 8.0263" Properties=species:S:1:pos:R:3 pbc="T T T"
Zr 0.0000 0.0000 0.0000
Zr 1.8903 1.8903 3.6789
As 0.0000 1.8903 5.8457
As 1.8903 0.0000 5.8457
As 1.8903 1.8903 0.8720
S 0.0000 0.0000 2.8486
```

Output
As for the calculated formation energy: -6.27 eV/f.u. The value obtained for the calculated total energy is -6.83 eV per atom.

~~~~~

NaEu2Cl6 | PBE-GGA | optimized geometry

The calculation puts the total energy at -155.8 eV per cell. As for the space-group type: P3 (143). For the size of the total moment, the calculation gives 1.44 μB per atom.

Unit cell a=13.018 b=13.018 c=4.447 alpha=90.00 beta=90.00 gamma=120.00
Element x y z (fractional)
Cl: 0.897 0.406 0.749
Eu: 0.669 0.669 0.250
Eu: 0.334 0.333 0.750
Cl: 0.510 0.103 0.749
Cl: 0.100 0.593 0.249
Cl: 0.236 0.074 0.748
Cl: 0.493 0.900 0.249
Cl: 0.838 0.764 0.748
Eu: 0.000 0.331 0.250
Eu: 0.667 0.000 0.750
Cl: 0.069 0.847 0.246
Na: 0.333 0.667 0.499
Eu: 0.331 0.000 0.250
Na: 0.000 0.000 0.752
Cl: 0.778 0.931 0.246
Cl: 0.259 0.824 0.753
Cl: 0.565 0.741 0.753
Cl: 0.407 0.507 0.249
Cl: 0.153 0.222 0.246
Cl: 0.825 0.561 0.254
Cl: 0.176 0.435 0.753
Na: 0.667 0.333 0.000
Cl: 0.594 0.490 0.749
Cl: 0.926 0.162 0.748
Cl: 0.737 0.175 0.254
Eu: 0.000 0.666 0.750
Cl: 0.439 0.263 0.254

~~~~~

# K2TcF6 (r²SCAN, optimized geometry)
# Energy of formation from the pure elements, meV/atom: -2840
data_K2TcF6
_chemical_formula_sum 'K2 Tc1 F6'
_space_group_name_H-M_alt 'P -3 m 1'
_space_group_IT_number 164
_space_group_name_Hall '-P 3 2"'
_cell_length_a 5.7822
_cell_length_b 5.7822
_cell_length_c 4.5501
_cell_angle_alpha 90.00
_cell_angle_beta 90.00
_cell_angle_gamma 120.00
loop_
_atom_site_label
_atom_site_fract_x
_atom_site_fract_y
_atom_site_fract_z
K1 0.3333 0.6667 0.2063
Tc1 0.0000 0.0000 0.5000
F1 0.1632 0.3264 0.7312

# K2ThF6 (r²SCAN, optimized geometry)
# Energy of formation from the pure elements, meV/atom: -3880
data_K2ThF6
_chemical_formula_sum 'K2 Th1 F6'
_space_group_name_H-M_alt 'P -6 2 m'
_space_group_IT_number 189
_space_group_name_Hall 'P -6 -2'
_cell_length_a 6.5523
_cell_length_b 6.5523
_cell_length_c 3.8092
_cell_angle_alpha 90.00
_cell_angle_beta 90.00
_cell_angle_gamma 120.00
loop_
_atom_site_label
_atom_site_fract_x
_atom_site_fract_y
_atom_site_fract_z
K1 0.3333 0.6667 0.0000
Th1 0.0000 0.0000 0.5000
F1 0.0000 0.2302 0.0000
F2 0.0000 0.6495 0.5000

# KTh2F9 (r²SCAN, optimized geometry)
# Energy of formation from the pure elements, meV/atom: -4259
data_KTh2F9
_chemical_formula_sum 'K4 Th8 F36'
_space_group_name_H-M_alt 'P n m a'
_space_group_IT_number 62
_space_group_name_Hall '-P 2ac 2n'
_cell_length_a 8.8571
_cell_length_b 11.6437
_cell_length_c 7.1703
_cell_angle_alpha 90.00
_cell_angle_beta 90.00
_cell_angle_gamma 90.00
loop_
_atom_site_label
_atom_site_fract_x
_atom_site_fract_y
_atom_site_fract_z
K1 0.0350 0.2500 0.1455
Th1 0.1749 0.0500 0.6538
F1 0.0032 0.5995 0.5767
F2 0.0647 0.5802 0.1987
F3 0.1759 0.2500 0.6633
F4 0.2080 0.0968 0.9732
F5 0.2146 0.6079 0.8573

# K2ThF6 (r²SCAN, optimized geometry)
# Energy of formation from the pure elements, meV/atom: -3858
data_K2ThF6
_chemical_formula_sum 'K8 Th4 F24'
_space_group_name_H-M_alt 'C 1 2/c 1'
_space_group_IT_number 15
_space_group_name_Hall '-C 2yc'
_cell_length_a 7.2752
_cell_length_b 12.5987
_cell_length_c 7.1967
_cell_angle_alpha 90.00
_cell_angle_beta 108.01
_cell_angle_gamma 90.00
loop_
_atom_site_label
_atom_site_fract_x
_atom_site_fract_y
_atom_site_fract_z
K1 0.0000 0.0873 0.2500
K2 0.0000 0.2397 0.7500
Th1 0.0000 0.4161 0.2500
F1 0.0954 0.4269 0.6072
F2 0.1105 0.2715 0.1311
F3 0.1736 0.0740 0.6330

# K2ThF6 (r²SCAN, optimized geometry)
# Energy of formation from the pure elements, meV/atom: -3862
data_K2ThF6
_chemical_formula_sum 'K4 Th2 F12'
_space_group_name_H-M_alt 'I m m m'
_space_group_IT_number 71
+++

(Reply)
Eu: 0.334 0.333 0.750
Cl: 0.510 0.103 0.749
Cl: 0.100 0.593 0.249
Cl: 0.236 0.074 0.748
Cl: 0.493 0.900 0.249
Cl: 0.838 0.764 0.748
Eu: 0.000 0.331 0.250
Eu: 0.667 0.000 0.750
Cl: 0.069 0.847 0.246
Na: 0.333 0.667 0.499
Eu: 0.331 0.000 0.250
Na: 0.000 0.000 0.752
Cl: 0.778 0.931 0.246
Cl: 0.259 0.824 0.753
Cl: 0.565 0.741 0.753
Cl: 0.407 0.507 0.249
Cl: 0.153 0.222 0.246
Cl: 0.825 0.561 0.254
Cl: 0.176 0.435 0.753
Na: 0.667 0.333 0.000
Cl: 0.594 0.490 0.749
Cl: 0.926 0.162 0.748
Cl: 0.737 0.175 0.254
Eu: 0.000 0.666 0.750
Cl: 0.439 0.263 0.254

~~~~~

# K2TcF6 (r²SCAN, optimized geometry)
# Energy of formation from the pure elements, meV/atom: -2840
data_K2TcF6
_chemical_formula_sum 'K2 Tc1 F6'
_space_group_name_H-M_alt 'P -3 m 1'
_space_group_IT_number 164
_space_group_name_Hall '-P 3 2"'
_cell_length_a 5.7822
_cell_length_b 5.7822
_cell_length_c 4.5501
_cell_angle_alpha 90.00
_cell_angle_beta 90.00
_cell_angle_gamma 120.00
loop_
_atom_site_label
_atom_site_fract_x
_atom_site_fract_y
_atom_site_fract_z
K1 0.3333 0.6667 0.2063
Tc1 0.0000 0.0000 0.5000
F1 0.1632 0.3264 0.7312

# K2ThF6 (r²SCAN, optimized geometry)
# Energy of formation from the pure elements, meV/atom: -3880
data_K2ThF6
_chemical_formula_sum 'K2 Th1 F6'
_space_group_name_H-M_alt 'P -6 2 m'
_space_group_IT_number 189
_space_group_name_Hall 'P -6 -2'
_cell_length_a 6.5523
_cell_length_b 6.5523
_cell_length_c 3.8092
_cell_angle_alpha 90.00
_cell_angle_beta 90.00
_cell_angle_gamma 120.00
loop_
_atom_site_label
_atom_site_fract_x
_atom_site_fract_y
_atom_site_fract_z
K1 0.3333 0.6667 0.0000
Th1 0.0000 0.0000 0.5000
F1 0.0000 0.2302 0.0000
F2 0.0000 0.6495 0.5000

# KTh2F9 (r²SCAN, optimized geometry)
# Energy of formation from the pure elements, meV/atom: -4259
data_KTh2F9
_chemical_formula_sum 'K4 Th8 F36'
_space_group_name_H-M_alt 'P n m a'
_space_group_IT_number 62
_space_group_name_Hall '-P 2ac 2n'
_cell_length_a 8.8571
_cell_length_b 11.6437
_cell_length_c 7.1703
_cell_angle_alpha 90.00
_cell_angle_beta 90.00
_cell_angle_gamma 90.00
loop_
_atom_site_label
_atom_site_fract_x
_atom_site_fract_y
_atom_site_fract_z
K1 0.0350 0.2500 0.1455
Th1 0.1749 0.0500 0.6538
F1 0.0032 0.5995 0.5767
F2 0.0647 0.5802 0.1987
F3 0.1759 0.2500 0.6633
F4 0.2080 0.0968 0.9732
F5 0.2146 0.6079 0.8573

# K2ThF6 (r²SCAN, optimized geometry)
# Energy of formation from the pure elements, meV/atom: -3858
data_K2ThF6
_chemical_formula_sum 'K8 Th4 F24'
_space_group_name_H-M_alt 'C 1 2/c 1'
_space_group_IT_number 15
_space_group_name_Hall '-C 2yc'
_cell_length_a 7.2752
_cell_length_b 12.5987
_cell_length_c 7.1967
_cell_angle_alpha 90.00
_cell_angle_beta 108.01
_cell_angle_gamma 90.00
loop_
_atom_site_label
_atom_site_fract_x
_atom_site_fract_y
_atom_site_fract_z
K1 0.0000 0.0873 0.2500
K2 0.0000 0.2397 0.7500
Th1 0.0000 0.4161 0.2500
F1 0.0954 0.4269 0.6072
F2 0.1105 0.2715 0.1311
F3 0.1736 0.0740 0.6330

# K2ThF6 (r²SCAN, optimized geometry)
# Energy of formation from the pure elements, meV/atom: -3862
data_K2ThF6
_chemical_formula_sum 'K4 Th2 F12'
_space_group_name_H-M_alt 'I m m m'
_space_group_IT_number 71